


Camelot is the fictional kingdom of the legendary King Arthur. It's supposed to be located in Britain.

Start year:
First issue:
Star Comics (1937) #1 Greetings, Friends!

Camelot seems to be a relatively late addition to Arthurian legend. By the 12th century most works placed Arthur's court in Caerleon. Camelot first appears in "Lancelot, the Knight of the Cart" (1170s) by Chretien de Troyes. The poem holds the distinction of being the first where Lancelot is the protagonist. Its theme of featuring an adulterous affair between Lancelot and Guinevere was also a first in Arthurian legend. the works of de Troyes still have Caerleon as the main seat of power for Arthur, but have Arthur traveling around his kingdom and holding court at different locations. Camelot receives a brief mention as the location where Arthur celebrated Ascension Day (the ascension of Jesus to the Heavens). 
The Vulgate Cycle (1210s - 1230s), a series of five volumes, provided a long unified account of the Arthurian legends. It begins with Joseph of Arimathea bringing the Holy Grail to the island of Great Britain (vol. 1). It continues with the life of Merlin and Arthur's early years (vol. 2). Then features the adventures of Lancelot and his affair of Guinevere, along with other tales of the Knights of the Round Table (vol. 3). Followed by the Grail Quest (vol. 4) and ending with the death of Arthur at the hands of Mordred and the collapse of his kingdom (vol. 5). Camelot is featured here as an early seat of Christianity in Britain, the location of the  Arthur-Guinevere marriage and the principal city of Arthur's realm.  
The work seems to have received an answer in the so-called Post-Vulgate Cycle (1230s-1240s), a series of four volumes, which reworked the material of the Vulgate Cycle to de-emphasize love affairs and earthly matters and emphasize on spiritual aspects. Significant differences include an emphasis on Mordred being the result of an incestuous  affair and a connection between the Lady of the Lake and the sword Excalibur (details absent in the Vulgate Cycle), the introduction of themes and characters from the Tristan cycle and the Grail Quest being a spiritual quest above all. Among the things remaining from the previous work is Camelot's role as the seat of power for Arthur. 
Arthurian works from the 13th to the 15th century seem to follow different literary traditions. French and other continental European works are influenced by the Vulgate and Post-Vulgate cycles, featuring Camelot frequently. Most Welsh or English works of the same period place Arthur's court still in Caerleon or in Carlisle (Caer Luel/Caer Llewelyn). A major exception is "Sir Gawain and the Green Knight" (late 14th century), a work written in Middle English and rich in medieval symbolism. There the court of Arthur is placed in "Camylot" (sic). 
"Le Morte d'Arthur" (1450s - 1470s, published 1485) by Thomas Malory ends the parallel traditions. Mallory drew both from the continental and British Arthurian traditions to complete his major work.  William Caxton, his publisher, divided it into 21 volumes, 507 chapters. Covering tales from the birth to the death of Arthur, the full work gives a somewhat pessimistic look on the Arthurian figures and chivalric society. Arthur, Lancelot and the other knights consistently try and fail to live up to their chivalric codes, chaste courtly love is replaced by   lustful affairs and passion overcomes reason. Arguably Mallory was influenced by the Wars of the Roses (1453 - 1487), the bloody civil war fought in England, Wales and Ireland of his time. The departure is that Camelot itseldf becomes the center of much of the action. 
Since Malory's work was arguably the last major Arthurian work of the Middle Ages, almost all later depictions of the legend would draw heavily from it. Camelot would eclipse all other locations of the Arthurian legend from the popular imagination. A question often asked in later times would be "where is/was Camelot?". The answer is not that easy.   

  • The name may derive from Camulodunum (modern Colchester), a significant location of early Roman Britain. It figures prominently in Roman accounts but was destroyed by Boudica c. 60 AD. The city seems to have been rebuilt by the 8th century and called "Caer Colun" by Nennius.  
  • Several descriptions of Camelot have it  surrounded by plains and forests. This may derive from Celliwig (forest grove), a capital of Arthur in Welsh legend. Celliwig  was typically placed in Cornwall.      
  • *Some of its features such as "impressive architecture and many churches" were probably transferred from accounts about the glories of Caerleon and Carlisle in other Arthurian works. 
  •  "Thomas Malory firmly identified Camelot with Winchester. Winchester was the capital of the Anglo-Saxon kingdom of Wessex . The native dynasty unified what is known as the Kingdom of England in the 10th century. Winchester was still the capital to the Norman Conquest of 1066. A 13th century Round Table in Winchester was rumored to be the Arthurian Round Table by the time Malory wrote his work. Arguably making it ideal for the ancient seat of power Malory had in mind. 
  • William Caxton scoffed at the notion of Camelot being outside Wales. He pointed to the prominent ruins of Camelot in Wales. His description is thought to point towards Caerwent. A Roman trading center, it seems to have had served as a major city from the 4th to the 9th century. It served for a while as capital to the Kingdom of Gwent. The main church of Caerwent was dedicated to Saint Stephen. So was the main church of Camelot described by Malory and other works. 
  • A theory favored in Tudorian England associated Camelot  with Cadbury Castle in Somerset. 20th century excavations located there a hill fort which was in use from the 470s to the 580s. Artifacts from the eastern Meditteranean point to wide trade links for the location. Archaeologists theorise that it was a seat of power for a major Brythonic ruler, perhaps a prince of Dumnonia (4th-8th century Kingdom).  
  • The location of Slack, West Yorkshire seems to have been called Camulodunum during the Roman era. Since it has the name association with "Cam" but was still outside Saxon rule in the 6th century, it has been argued as more likely than Colchester to be the seat of a Celtic ruler.  
  • Tintagel Castle in Cornwall has been suggested as "Camelot". The supposed birthplace of Arthur and later a seat to rulers of dumnonia, it has strong Arthurian and Celtic associations. However most accounts have Mark, King of Cornwall ruling there during Arthur's reign.  
  • Camelon/Camelot, Scotland, near Falkirk is one of the locations associated with the battle of Camlann where Arthur and Mordred were killed. However the name may also point to a "Camelot" connection.  
  • The Roman fort of Camboglanna (Crook Bank), located on Hadrian's Wall has been linked to Camelot due to its name. Archaeology revealed that parts of the Wall remained occupied well into the 5th century.  
  • The Roman city of Viroconium Cornoviorum is typically associated with another legendary British ruler, Vortigern. Vortigern is typically placed two generations earlier than Arthur and as the predecessor to Arthur's father. Vortigern is also associated with legends of Merlin's childhood and teenage years. Question is if it was seat of only one of the "Kings of britain" or an entire line of them. 
  • Roxburgh, currently in Scotland, has been a candidate for different reasons.  Located at the center of an agricultural fertile area and center for transporting goods via river, Roxburg was heavily contested between England and Scotland for much of the Middle Ages.Several depictions of Camelot have it located near a river and the prosperity of the region may have suggested the affluent court of legend. 
  • Minor candidates suggested by later scholars include Cadbury Camp , Camelford , Camelon Fort, Camlet Moat , Campus Elleti,  Chard , Graig-Llwyn  and Saltwell Park. Most for linguistic or geographical reasons.


July 1936

August 1936

September 1936

January 1946

August 1946

January 1948

September 1948

February 1949

April 1949

September 1949

March 1950

June 1950

December 1950

June 1951

July 1957

September 1958

-- Someone pasted calculated crystals at this point --
<<<
# 1
{
  "formula": "RbPNO2",
  "functional": "PBE-GGA",
  "state": "relaxed",
  "cell": [[6.517, 3.763, 3.815], [-6.517, 3.763, 3.815], [0.000, -7.526, 3.815]],
  "species": ["Rb", "Rb", "Rb", "Rb", "Rb", "Rb", "P", "P", "P", "P", "P", "P", "N", "N", "N", "N", "N", "N", "O", "O", "O", "O", "O", "O", "O", "O", "O", "O", "O", "O"],
  "fractional_positions": [[0.161, 0.688, 0.353], [0.312, 0.647, 0.839], [0.353, 0.161, 0.688], [0.647, 0.839, 0.312], [0.688, 0.353, 0.161], [0.839, 0.312, 0.647], [0.058, 0.216, 0.318], [0.216, 0.318, 0.058], [0.318, 0.058, 0.216], [0.682, 0.942, 0.784], [0.784, 0.682, 0.942], [0.942, 0.784, 0.682], [0.070, 0.313, 0.165], [0.165, 0.070, 0.313], [0.313, 0.165, 0.070], [0.687, 0.835, 0.930], [0.835, 0.930, 0.687], [0.930, 0.687, 0.835], [0.124, 0.862, 0.695], [0.138, 0.305, 0.876], [0.145, 0.351, 0.477], [0.305, 0.876, 0.138], [0.351, 0.477, 0.145], [0.477, 0.145, 0.351], [0.523, 0.855, 0.649], [0.649, 0.523, 0.855], [0.695, 0.124, 0.862], [0.855, 0.649, 0.523], [0.862, 0.695, 0.124], [0.876, 0.138, 0.305]],
  "ef_ev_per_fu": -8.46,
  "spacegroup": "No. 148"
}

# 2
{
  "formula": "CeSe2",
  "functional": "PBE-GGA",
  "state": "relaxed",
  "cell": [[0.000, 14.882, 15.197], [11.334, 0.000, 15.197], [11.334, 14.882, 0.000]],
  "species": ["Ce", "Ce", "Ce", "Ce", "Ce", "Ce", "Ce", "Ce", "Ce", "Ce", "Ce", "Ce", "Ce", "Ce", "Ce", "Ce", "Ce", "Ce", "Se", "Se", "Se", "Se", "Se", "Se", "Se", "Se", "Se", "Se", "Se", "Se", "Se", "Se", "Se", "Se", "Se", "Se", "Se", "Se", "Se", "Se", "Se", "Se", "Se", "Se", "Se", "Se", "Se", "Se", "Se", "Se", "Se", "Se", "Se", "Se"],
  "fractional_positions": [[0.074, 0.297, 0.926], [0.074, 0.548, 0.677], [0.216, 0.606, 0.784], [0.250, 0.250, 0.250], [0.297, 0.074, 0.703], [0.299, 0.323, 0.452], [0.323, 0.299, 0.926], [0.394, 0.784, 0.606], [0.452, 0.926, 0.299], [0.548, 0.074, 0.701], [0.606, 0.216, 0.394], [0.677, 0.701, 0.074], [0.701, 0.677, 0.548], [0.703, 0.926, 0.297], [0.750, 0.750, 0.750], [0.784, 0.394, 0.216], [0.926, 0.452, 0.323], [0.926, 0.703, 0.074], [0.035, 0.437, 0.816], [0.073, 0.691, 0.927], [0.077, 0.314, 0.320], [0.154, 0.154, 0.846], [0.169, 0.475, 0.525], [0.170, 0.599, 0.678], [0.184, 0.288, 0.965], [0.288, 0.184, 0.563], [0.289, 0.320, 0.314], [0.309, 0.927, 0.691], [0.311, 0.689, 0.689], [0.314, 0.077, 0.289], [0.320, 0.289, 0.077], [0.322, 0.447, 0.830], [0.401, 0.830, 0.447], [0.437, 0.035, 0.712], [0.447, 0.322, 0.401], [0.475, 0.169, 0.831], [0.525, 0.831, 0.169], [0.553, 0.678, 0.599], [0.563, 0.965, 0.288], [0.599, 0.170, 0.553], [0.678, 0.553, 0.170], [0.680, 0.711, 0.923], [0.686, 0.923, 0.711], [0.689, 0.311, 0.311], [0.691, 0.073, 0.309], [0.711, 0.680, 0.686], [0.712, 0.816, 0.437], [0.816, 0.712, 0.035], [0.830, 0.401, 0.322], [0.831, 0.525, 0.475], [0.846, 0.846, 0.154], [0.923, 0.686, 0.680], [0.927, 0.309, 0.073], [0.965, 0.563, 0.184]],
  "ef_ev_per_fu": -4.19,
  "spacegroup": "No. 69"
}

Which formula does entry 2 have? CeSe2

* * * * *

# 1
>>>

January 1959

January 1961

June 1961

August 1964

-- Misplaced calculated crystals --
- - -
Version a
Entry from the Materials Project: an optimized crystal structure of Na5CoO4 (PBE+U).

Unit cell a=7.671 b=6.073 c=5.921 alpha=90.00 beta=90.00 gamma=90.00
Space group Pmn2_1 (No. 31)
Inequivalent atoms, fractional coordinates:
Na1 0.000 0.175 0.000
Na2 0.184 0.568 0.686
Na3 0.199 0.111 0.502
Co1 0.000 0.674 0.249
O1 0.000 0.372 0.351
O2 0.000 0.759 0.943
O3 0.221 0.767 0.355

Version b
Entry from the Materials Project: an optimized crystal structure of Na5CoO4 (PBE+U).

Unit cell a=10.361 b=10.658 c=10.492 alpha=90.00 beta=90.00 gamma=90.00
Space group Pbca (No. 61)
Inequivalent atoms, fractional coordinates:
Na1 0.090 0.147 0.120
Na2 0.100 0.661 0.879
Na3 0.135 0.617 0.155
Na4 0.148 0.105 0.386
Na5 0.162 0.613 0.606
Co1 0.117 0.126 0.852
O1 0.003 0.021 0.763
O2 0.005 0.242 0.947
O3 0.225 0.235 0.755
O4 0.231 0.051 0.976

version a is the least stable structure shown above.

* * * * *

BaLaCl5: relaxed, GGA-PBE.

Values from the calculation:
As for the calculated density: 3.399 g cm⁻³. The relative energy among the computed polymorphs comes out at 0.001 eV/atom. The electronic total energy is -131.85 eV per cell. As for the formation energy: -2.85 eV per atom.

Cell lengths 12.4669, 7.1333, 9.9779 Å; angles 87.12, 90.00, 90.00 degrees
Sites, in units of the cell vectors:
Cl (0.2896, 0.1478, 0.2147)
Cl (0.7706, 0.9550, 0.4111)
Ba (0.3631, 0.4494, 0.6250)
La (0.6211, 0.9861, 0.6127)
Ba (0.8631, 0.5506, 0.3750)
La (0.2137, 0.5251, 0.1058)
La (0.7137, 0.4749, 0.8942)
Cl (0.7386, 0.3518, 0.6255)
Cl (0.5320, 0.6850, 0.7863)
Cl (0.2243, 0.7973, 0.9051)
Cl (0.0320, 0.3150, 0.2137)
Cl (0.7218, 0.6892, 0.1220)
Ba (0.5275, 0.9660, 0.1761)
Cl (0.2218, 0.3108, 0.8780)
Cl (0.0146, 0.7699, 0.5692)
Cl (0.5198, 0.7319, 0.4477)
Cl (0.5288, 0.1889, 0.8283)
Cl (0.0198, 0.2681, 0.5523)
Cl (0.7896, 0.8522, 0.7853)
Cl (0.7243, 0.2027, 0.0949)
Cl (0.2386, 0.6482, 0.3745)
Cl (0.9329, 0.4288, 0.8881)
Cl (0.0288, 0.8111, 0.1717)
Cl (0.2706, 0.0450, 0.5889)
Cl (0.5146, 0.2301, 0.4308)
La (0.1211, 0.0139, 0.3873)
Ba (0.0275, 0.0340, 0.8239)
Cl (0.4329, 0.5712, 0.1119)


BaLaCl5: relaxed, GGA-PBE.

Values from the calculation:
As for the calculated density: 3.243 g cm⁻³. The relative energy among the computed polymorphs comes out at 0.013 eV/atom. The electronic total energy is -65.74 eV per cell. As for the formation energy: -2.83 eV per atom.

Cell lengths 4.5751, 7.7793, 13.0637 Å; angles 87.07, 90.00, 90.00 degrees
Sites, in units of the cell vectors:
Cl (0.7500, 0.9206, 0.6603)
Cl (0.2500, 0.6704, 0.5202)
La (0.7500, 0.5636, 0.6539)
Cl (0.7500, 0.1548, 0.9244)
La (0.2500, 0.4364, 0.3461)
Ba (0.2500, 0.9447, 0.8432)
Ba (0.7500, 0.0553, 0.1568)
Cl (0.2500, 0.3627, 0.1414)
Cl (0.2500, 0.3628, 0.7171)
Cl (0.7500, 0.6373, 0.8586)
Cl (0.2500, 0.8452, 0.0756)
Cl (0.7500, 0.3296, 0.4798)
Cl (0.2500, 0.0794, 0.3397)
Cl (0.7500, 0.6372, 0.2829)


BaLaCl5: relaxed, GGA-PBE.

Values from the calculation:
- - -
-- Here the piece continues --

November 1966

April 1967

March 1968

April 1971

March 1972

September 1972

November 1972

April 1973

July 1975
